By Bob Williams
Last month, the Government Accountability Office released its annual report on the fiscal condition of our states. The report’s title — “State Fiscal Gap Seen Worsening” — says it all. Every state is facing record deficits, and the GAO predicts the budget gaps for state and local governments will steadily worsen through 2060 absent any policy changes.
The GAO calculated that closing the fiscal gap with an immediate action would require an annual 12.7 percent reduction in state and local government expenditures, or tax increases of a similar magnitude.
### Attached: calculated molecules
____________
[1]
DFT (ωB97M-V/def2-TZVPD) results for a structure of composition C31H33ClN2O2Si2Yb at a distorted geometry.

The geometry in ORCA input format:
```
! wB97M-V def2-TZVPD RIJCOSX def2/J DEFGRID3
* xyz 1 2
C -2.4111 -0.8141 4.7276
C -3.3084 -0.8032 3.6302
C -3.2943 -2.0969 3.0405
H -3.9629 0.0231 3.3584
C -2.3879 -2.9135 3.7839
C -1.8368 -2.1121 4.8310
H -1.1865 -2.4681 5.6281
H -2.3016 -0.0223 5.4594
H -3.9107 -2.4203 2.2036
H -2.1859 -3.9728 3.6275
Yb -0.9548 -1.2112 2.7007
Si -1.1454 -0.2189 -2.5670
C -0.5214 1.2713 -3.4914
C 0.7939 1.2927 -4.0074
H 1.4526 0.4253 -3.8677
C 1.2612 2.3835 -4.7522
H 2.2830 2.3836 -5.1376
C 0.4276 3.4739 -5.0148
H 0.7991 4.3421 -5.5735
C -0.8888 3.4388 -4.5478
H -1.5350 4.2887 -4.7737
C -1.3651 2.3559 -3.7996
H -2.4087 2.3188 -3.4742
C -0.3290 -1.5479 -3.5963
C -0.5727 -1.5841 -4.9870
H -1.3016 -0.8943 -5.4222
C 0.1697 -2.4341 -5.8095
H 0.0152 -2.4316 -6.8882
C 1.1386 -3.2876 -5.2609
H 1.7036 -3.9667 -5.9081
C 1.3390 -3.2927 -3.8787
H 2.0851 -3.9583 -3.4388
C 0.5943 -2.4505 -3.0456
H 0.7892 -2.4433 -1.9725
H -2.5848 -0.3283 -2.7907
Si 2.0897 0.8510 -0.1774
C 1.2698 -0.8656 0.0967
C -0.1053 -1.1508 -0.0218
H -0.7899 -0.4016 -0.5560
C -0.6123 -2.4152 0.3522
H -1.6718 -2.6600 0.1844
C 0.2462 -3.3560 0.9368
H -0.1331 -4.3098 1.2974
C 1.6235 -3.1208 0.9579
H 2.3141 -3.9087 1.2847
C 2.1298 -1.9006 0.5054
H 3.2075 -1.7283 0.4535
C 0.6339 2.0430 -0.3086
C -0.4840 2.0319 0.5447
H -0.6723 1.1678 1.2052
C -1.3492 3.1279 0.6155
H -2.1899 3.1006 1.3169
C -1.1461 4.2433 -0.2074
H -1.8179 5.1014 -0.1515
C -0.0939 4.2007 -1.1261
H 0.0032 5.0279 -1.8251
C 0.8073 3.1398 -1.1552
H 1.6646 3.1562 -1.8369
H 3.3846 1.0244 -0.8122
Cl 2.6455 1.1614 1.8432
C 0.8578 2.4647 5.8425
O 1.4643 1.1525 5.7065
C 0.9504 0.3526 4.7658
O -0.0215 0.6184 4.0322
N 1.6067 -0.8658 4.7180
N 1.3254 -1.5654 3.4937
H 1.2984 2.8919 6.7470
H -0.2307 2.3607 5.9425
H 1.0831 3.0738 4.9622
H 2.5646 -0.8335 5.0530
H 1.8755 -1.0728 2.7608
H 1.8130 -2.4624 3.5738
*
```

Summary:
HOMO (alpha / beta): -9.6 / -10.1 eV
DFT total energy: -99559.460 eV
relative energy (zero: lowest compared OMol25 entry of this formula, charge and spin): 55.8 kJ/mol
maximum force: 3.0 eV Å⁻¹

[2]
DFT (ωB97M-V/def2-TZVPD) results for a cluster of 2 separate species, C3H12NO2 in total at a distorted geometry.

The geometry in ORCA input format:
```
! wB97M-V def2-TZVPD RIJCOSX def2/J DEFGRID3
* xyz 0 2
O -0.4252 -2.0798 0.0101
C 0.3806 -1.5554 1.1125
C 0.7941 -0.0486 0.8013
N -0.2733 0.5915 0.0456
C -0.5084 2.0165 0.5528
H -0.6901 -2.9458 0.2548
H 1.4027 -2.1742 1.0283
H -0.1602 -1.6791 2.0878
H 0.9575 0.5061 1.7692
H 1.6585 -0.1910 0.1189
H -0.1098 0.5500 -0.9984
H -1.1147 0.1103 0.1957
H 0.2907 2.3142 1.2381
H -0.2013 2.7618 -0.2542
H -1.4126 2.3046 1.1650
H 0.2311 0.0537 -3.6673
H -0.8623 -0.4338 -2.7315
O 0.0427 -0.1011 -2.7288
*
```

Summary:
HOMO (alpha / beta): -2.6 / -10.7 eV
DFT total energy: -8885.774 eV
____________
The downward spiral that state budgets are experiencing are the result of accounting gimmicks, reckless spending, and a failure of state legislatures and governors over the years to make the tough decisions to reset state spending to a level that taxpayers can afford.
In October, we at State Budget Solutions released a report that showed total state debt exceeds $4 trillion. The states with the largest total deficits are California, New York, Texas, New Jersey and Illinois, respectively. California hit the bottom of the list, with a deficit of more than $612 billion. Even the states with the lowest deficits are still in the red by $5 billion to $10 billion.
So what can each state do to fix this? The answer can be found in pension reforms and a change in budgeting strategy.
First, legislatures and governors must do a strategic analysis and identify core functions of their government. This will help them begin implementation of Reality-Based Budgeting, also known as outcome performance-based budgeting. This budgeting strategy forces all legislators to start by asking, “What must the state accomplish?” and to set clear measurements for programs’ efficacy and efficiency. Upon determining how much money the state actually has, government officials must establish what is the most effective and efficient way to deliver essential services within those limits.
Reality-Based Budgeting eliminates budget gimmicks and accounting games. It provides state legislatures the opportunity to examine how much funding is truly needed for each government service or program. It eradicates redundancies while allowing transparency to shine through government spending.
Next, governments must tackle fundamental pension reform. Despite recent reform efforts, public defined-benefit pension plans are ultimately doomed unless we pump trillions more dollars into them. And even then, pensions are still endangered by reckless, shortsighted policies of politicians and fund managers.
Unfunded pension liabilities are the dark cloud on the horizon of state budgets; a cloud totaling trillions of dollars. Though they represent unavoidable fiscal debt, pension liabilities often slip under the radar when states tally up their spending, thanks to their status as “future payments” and the accounting games that states use to mask the pension problem.
States need aggressive pension reforms, including a move from defined-benefit plans to defined-contribution plans, which are similar to the 401(k) plans offered in the private sector. Defined-benefit plans guarantee specific levels of service regardless of cost, whereas defined contribution plans establish a fixed payment toward services. Instituting defined-contribution plans would end the endless cost escalations of nonsalary compensation. A move to defined-contribution plans would reduce the risk to taxpayers, provide lawmakers with a reliable cost estimate for budgeting, and give state workers control over their retirement funding. Example: Utah’s transition to a hybrid defined-contribution plan was a reform that cut the state’s $6.5 billion pension debt in half.
Now is the time for state governments to work together and create reform that will ease their deficit. Delay and avoidance only make deficits worse. There is no spell to cast to make the effects of decades of mismanagement magically disappear. The day of reckoning is here.
(Bob Williams, President of State Budget Solutions, is a former Washington state legislator, gubernatorial candidate and auditor with the Government Accountability Office. Williams is Founder and Senior Fellow at the Freedom Foundation, a public policy organization in Olympia, Washington.)